Sunday, June 08, 2008

Mayor defends city’s spending

By Richard Rolke - Vernon Morning Star - June 08, 2008

Vernon’s mayor is refuting claims that city hall is one of the worst spenders in the province. A new report from the Canadian Federation of Independent Business looks at municipal spending, and it states that Vernon has the fifth worst record in B.C. “They need to look at the whole picture,” said Mayor Wayne Lippert. “The CFIB looks at it from a business perspective and they need to do more research.” The study claims Vernon in 2006 had spending growth of 46.9 per cent, population and inflation growth of 19.4 per cent and a fiscal responsibility gap of 2.42 per cent. But Lippert insists that Vernon’s spending has been reasonable and reflects both the need to upgrade aging infrastructure and the limited revenue base the city has. “They don’t take into account what municipalities have to do for infrastructure,” he said. “Property taxes are the only funds municipalities have to work with (compared to provincial and federal governments).”

-- Calculated crystals from another source follow --
........
1.
# MgCr2Fe3NiP6O24, relaxed, DFT GGA+U
# Total moment, μB per formula unit: 3.8
# Symmetry: No. 146
data_MgCr2Fe3NiP6O24
_cell_length_a 8.5432
_cell_length_b 8.5432
_cell_length_c 8.5432
_cell_angle_alpha 60.85
_cell_angle_beta 60.85
_cell_angle_gamma 60.85
_space_group_name_H-M_alt 'P 1'
_space_group_IT_number 1
loop_
_space_group_symop_operation_xyz
'x,y,z'
loop_
_atom_site_label
_atom_site_type_symbol
_atom_site_fract_x
_atom_site_fract_y
_atom_site_fract_z
_atom_site_occupancy
Mg1 Mg 0.0000 0.0000 0.0000 1
Cr1 Cr 0.1353 0.1353 0.1353 1
Cr2 Cr 0.6262 0.6262 0.6262 1
Fe1 Fe 0.2806 0.2806 0.2806 1
Fe2 Fe 0.4806 0.4806 0.4806 1
Fe3 Fe 0.8789 0.8789 0.8789 1
Ni1 Ni 0.7597 0.7597 0.7597 1
P1 P 0.0838 0.3809 0.6783 1
P2 P 0.1851 0.8802 0.5755 1
P3 P 0.3809 0.6783 0.0838 1
P4 P 0.5755 0.1851 0.8802 1
P5 P 0.6783 0.0838 0.3809 1
P6 P 0.8802 0.5755 0.1851 1
O1 O 0.0200 0.8209 0.6214 1
O2 O 0.0370 0.3747 0.2047 1
O3 O 0.0783 0.2357 0.8833 1
O4 O 0.1342 0.9414 0.7417 1
O5 O 0.1414 0.2883 0.5356 1
O6 O 0.2047 0.0370 0.3747 1
O7 O 0.2247 0.4769 0.6166 1
O8 O 0.2357 0.8833 0.0783 1
O9 O 0.2883 0.5356 0.1414 1
O10 O 0.3747 0.2047 0.0370 1
O11 O 0.3847 0.7222 0.5599 1
O12 O 0.4769 0.6166 0.2247 1
O13 O 0.5242 0.6874 0.8763 1
O14 O 0.5356 0.1414 0.2883 1
O15 O 0.5599 0.3847 0.7222 1
O16 O 0.6166 0.2247 0.4769 1
O17 O 0.6214 0.0200 0.8209 1
O18 O 0.6874 0.8763 0.5242 1
O19 O 0.7222 0.5598 0.3847 1
O20 O 0.7417 0.1342 0.9414 1
O21 O 0.8209 0.6214 0.0200 1
O22 O 0.8763 0.5242 0.6874 1
O23 O 0.8833 0.0783 0.2357 1
O24 O 0.9414 0.7417 0.1342 1

=====

2.
# MgCr2Fe3NiP6O24, relaxed, DFT GGA+U
# Total moment, μB per formula unit: 22.0
# Symmetry: No. 146
data_MgCr2Fe3NiP6O24
_cell_length_a 8.6006
_cell_length_b 8.6006
_cell_length_c 8.6006
_cell_angle_alpha 60.39
_cell_angle_beta 60.39
_cell_angle_gamma 60.39
_space_group_name_H-M_alt 'P 1'
_space_group_IT_number 1
loop_
_space_group_symop_operation_xyz
'x,y,z'
loop_
_atom_site_label
_atom_site_type_symbol
_atom_site_fract_x
_atom_site_fract_y
_atom_site_fract_z
_atom_site_occupancy
Mg1 Mg 0.0000 0.0000 0.0000 1
Cr1 Cr 0.2601 0.2601 0.2601 1
Cr2 Cr 0.7511 0.7511 0.7511 1
Fe1 Fe 0.1231 0.1231 0.1231 1
Fe2 Fe 0.4049 0.4049 0.4049 1
Fe3 Fe 0.8822 0.8822 0.8822 1
Ni1 Ni 0.6096 0.6096 0.6096 1
P1 P 0.0055 0.3078 0.7041 1
P2 P 0.2140 0.7987 0.5040 1
P3 P 0.3078 0.7041 0.0055 1
P4 P 0.5040 0.2140 0.7987 1
P5 P 0.7041 0.0055 0.3078 1
P6 P 0.7987 0.5040 0.2140 1
O1 O 0.0048 0.8087 0.6431 1
O2 O 0.0093 0.3525 0.1985 1
O3 O 0.0711 0.2442 0.8728 1
O4 O 0.1459 0.7540 0.9415 1
O5 O 0.1649 0.3216 0.5048 1
O6 O 0.1985 0.0093 0.3525 1
O7 O 0.2442 0.8728 0.0711 1
O8 O 0.2737 0.6598 0.4073 1
O9 O 0.3216 0.5048 0.1649 1
O10 O 0.3495 0.7550 0.5924 1
O11 O 0.3525 0.1985 0.0093 1
O12 O 0.4073 0.2737 0.6598 1
O13 O 0.5048 0.1649 0.3216 1
O14 O 0.5074 0.6911 0.8543 1
O15 O 0.5924 0.3495 0.7550 1
O16 O 0.6431 0.0048 0.8087 1
O17 O 0.6598 0.4073 0.2737 1
O18 O 0.6911 0.8543 0.5074 1
O19 O 0.7540 0.9415 0.1459 1
O20 O 0.7550 0.5924 0.3495 1
........

The CFIB report indicates that municipal spending in B.C. increased by 36 per cent between 2000 and 2006 — 1.8 times more than the 20 per cent increase that would have occurred if spending had been held to population and inflation growth. In dollar terms, that amounts to $502 million in 2006. “The bottom line for taxpayers is municipal spending is causing property taxes and fees to increase faster than our ability to pay,” said Laura Jones, CFIB vice-president, in a release. “If municipal governments had controlled spending, property taxes could have been roughly 17 per cent lower than they are today.” Lippert doesn’t believe it is fair for the study to just target municipalities. “They missed the boat on regional districts because that also impacts municipalities and their budgets,” he said. “The regional district had a higher increase than the city and no one says anything about that.” Lippert also points out that the federal government has also forced changes on to how municipalities budget for infrastructure. “That has a huge impact on us,” he said.

Don Quixote Note: Full report can be found at Fiscal Responsibility
Canadian Federation of Independent Business or backgrounder. Full Report

1 comment:

Crystal structures that have nothing to do with the page.
- - -
First-principles (PBE) data for crystalline AgAuS2 at its relaxed geometry, as listed in Materials Project.

Properties
V: 108.24 Å³/f.u.
ΔH_f (0 K): -0.19 eV per atom

Lattice parameters (Å, degrees): 4.8904 5.5799 7.9333 90.00 90.00 90.00
Atoms (fractional coordinates):
Ag 0.0000 0.0000 0.2500
Ag 0.0000 0.0000 0.7500
Au 0.5000 0.5000 0.0000
Au 0.5000 0.5000 0.5000
S 0.3259 0.1152 0.0000
S 0.3259 0.8848 0.5000
S 0.6741 0.1152 0.5000
S 0.6741 0.8848 0.0000

---

First-principles (PBE) data for crystalline Ag3AuS2 at its relaxed geometry, as listed in Materials Project.

Properties
ΔE to the lowest computed polymorph: 0.0 meV/atom
V: 159.90 Å³/f.u.
ΔH_f (0 K): -0.23 eV per atom

Lattice parameters (Å, degrees): 5.4407 5.4407 5.4407 93.88 93.88 93.88
Atoms (fractional coordinates):
Ag 0.0000 0.5000 0.5000
Ag 0.5000 0.0000 0.5000
Ag 0.5000 0.5000 0.0000
Au 0.0000 0.0000 0.0000
S 0.2632 0.2632 0.2632
S 0.7368 0.7368 0.7368

---

First-principles (PBE) data for crystalline Ag4AuS2 at its relaxed geometry, as listed in Materials Project.

Properties
V: 141.45 Å³/f.u.
ΔH_f (0 K): -0.02 eV per atom

Lattice parameters (Å, degrees): 5.1708 3.9750 6.8967 90.00 93.76 90.00
Atoms (fractional coordinates):
Ag 0.1968 0.0000 0.2703
Ag 0.2079 0.5000 0.8669
Ag 0.7921 0.5000 0.1331
Ag 0.8032 0.0000 0.7297
Au 0.5000 0.5000 0.5000
S 0.0000 0.5000 0.5000
S 0.5000 0.0000 0.0000

---

First-principles (PBE) data for crystalline Ag3AuS2 at its relaxed geometry, as listed in Materials Project.

Properties
ΔE to the lowest computed polymorph: 25.7 meV/atom
V: 120.35 Å³/f.u.
ΔH_f (0 K): -0.21 eV per atom

Lattice parameters (Å, degrees): 9.8744 9.8744 9.8744 90.00 90.00 90.00
Atoms (fractional coordinates):
Ag 0.0009 0.2515 0.3842
Ag 0.0015 0.2509 0.8658
Ag 0.1158 0.9991 0.7515
Ag 0.1342 0.5015 0.2491
Ag 0.2491 0.1342 0.5015
Ag 0.2485 0.6158 0.5009
Ag 0.2515 0.3842 0.0009
Ag 0.2509 0.8658 0.0015
Ag 0.3658 0.4985 0.7491
Ag 0.3842 0.0009 0.2515
Ag 0.4985 0.7491 0.3658
Ag 0.4991 0.7485 0.8842
Ag 0.5015 0.2491 0.1342
Ag 0.5009 0.2485 0.6158
Ag 0.6158 0.5009 0.2485
Ag 0.6342 0.9985 0.7509
Ag 0.7491 0.3658 0.4985
Ag 0.7485 0.8842 0.4991
Ag 0.7515 0.1158 0.9991
Ag 0.7509 0.6342 0.9985
Ag 0.8658 0.0015 0.2509
Ag 0.8842 0.4991 0.7485
Ag 0.9991 0.7515 0.1158
Ag 0.9985 0.7509 0.6342
Au 0.1221 0.8779 0.3779
Au 0.1279 0.1279 0.1279
Au 0.3721 0.8721 0.6279
Au 0.3779 0.1221 0.8779
Au 0.6221 0.6221 0.6221
Au 0.6279 0.3721 0.8721
Au 0.8721 0.6279 0.3721
Au 0.8779 0.3779 0.1221
S 0.0108 0.4892 0.5108
S 0.0165 0.5165 0.9835
S 0.2335 0.7335 0.7665
S 0.2392 0.2608 0.7392
S 0.2608 0.7392 0.2392
S 0.2665 0.2665 0.2665
S 0.4835 0.4835 0.4835
S 0.4892 0.5108 0.0108
S 0.5108 0.0108 0.4892
S 0.5165 0.9835 0.0165
S 0.7335 0.7665 0.2335
S 0.7392 0.2392 0.2608
S 0.7608 0.7608 0.7608
S 0.7665 0.2335 0.7335
S 0.9835 0.0165 0.5165
S 0.9892 0.9892 0.9892

---

First-principles (PBE) data for crystalline Ag6Au2Se3S at its relaxed geometry, as listed in Materials Project.

Properties
V: 255.68 Å³/f.u.
- - -
Back to the page.

Anonymous said...

Does this Mayor EVER admit to being wrong??!!
He has been spending like a drunken sailor on real estate without any planning or relation to the OCP

What comes next are materials data, not part of the text
-- begin --
# 1
Density functional theory data (PBE) for a relaxed CsCSN crystal.

The volume is 27.84 A^3/atom. The formation energy comes out at -670.2 meV/atom. As for the crystal system: orthorhombic.

The space group is Pnma (No. 62) and the conventional cell measures 8.129, 6.440 and 8.510 Å, with angles of 90.00, 90.00 and 90.00 degrees. Symmetry generates all atoms from Cs at (0.181, 0.250, 0.105), C at (0.173, 0.250, 0.559), S at (0.024, 0.250, 0.687) and N at (0.215, 0.750, 0.968).

=====

# 2
Density functional theory data (PBE) for a relaxed CsNaC2 crystal.

The volume is 24.49 A^3/atom. The formation energy comes out at 267.6 meV/atom. As for the crystal system: orthorhombic.

The space group is Pbcm (No. 57) and the conventional cell measures 8.433, 6.962 and 6.675 Å, with angles of 90.00, 90.00 and 90.00 degrees. Symmetry generates all atoms from Cs at (0.157, 0.034, 0.250), Na at (0.469, 0.750, 0.000), C at (0.251, 0.558, 0.250) and C at (0.378, 0.041, 0.750).

=====

- Among the records above, which one has the lowest formation energy?
  CsCSN

=====

- The lowest volume belongs to which entry?
  CsNaC2


The following is a PBE+U calculation of a geometry-optimized LiV3OF11 structure, from the Materials Project database.

Cell: 7.0224 6.0022 5.5110 Å, 93.26 103.24 93.06°
Sites, in units of the cell vectors:
F1 0.9198 0.0276 0.7098
V1 0.3952 0.6310 0.8513
F2 0.7923 0.5455 0.3120
F3 0.5748 0.1831 0.3957
V2 0.6011 0.3392 0.1499
Li1 0.7017 0.9463 0.4396
F4 0.0186 0.9560 0.2851
F5 0.6486 0.4833 0.8600
F6 0.1387 0.7766 0.9116
V3 0.0267 0.0134 0.9947
F7 0.4802 0.7551 0.5922
F8 0.1736 0.4419 0.6998
F9 0.6402 0.8440 0.0118
O1 0.3447 0.1584 0.0036
F10 0.3495 0.5221 0.1410
F11 0.8909 0.2384 0.0741

Properties
crystal system = triclinic
space-group type = P1
ΔE to the lowest computed polymorph = 8.30 eV/f.u.



The following is a PBE+U calculation of a geometry-optimized MoO2 structure, from the Materials Project database.

Cell: 6.4937 6.4188 6.2362 Å, 61.73 60.52 57.75°
Sites, in units of the cell vectors:
O1 0.3147 0.8864 0.8938
O2 0.8938 0.9051 0.3147
Mo1 0.1250 0.1250 0.1250
Mo2 0.6250 0.1250 0.1250
O3 0.3562 0.3449 0.9353
O4 0.9051 0.8938 0.8864
O5 0.8864 0.3147 0.9051
O6 0.9353 0.3636 0.3562
O7 0.3449 0.3562 0.3636
Mo3 0.1250 0.6250 0.1250
Mo4 0.1250 0.1250 0.6250
O8 0.3636 0.9353 0.3449

Properties
crystal system = orthorhombic
total energy = -7.181 eV per atom
space-group type = Fddd



Results for total magnetization: 3.0 8.0 (in μB per cell, following the order of the records).


Entry 1:
{
  "formula": "PaCl2O",
  "functional": "PBE-GGA",
  "state": "optimized geometry",
  "formation_energy_ev_per_atom": -2.68,
  "magnetic_moment_mub_per_fu": 1.000,
  "final_energy_ev_per_atom": -7.047,
  "cell": [[15.5562, 0.0000, 0.0000], [0.0000, 18.0822, 0.0000], [0.0000, 0.0000, 4.0083]],
-- stop --

he has been warned by councillor Beardsell an expert on finance to no avail
He is'always right"!!

Well he is for a rude awakening come November